Inspired by this: Focus: Nicknames. What was yours growing up? What was the backstory behind it? Who do you know had the best nickname or best story behind their nickname? Alt. Focus: Funny real names. There is nothing like meeting someone with a fucking hilarious name. Just imagining how someone goes through their life with a shitty name can bring a smile to anyone's face. For instance, I recently met a dude named Rupert Pupkin. Poor bastard. I wish I could show you guys a picture of this dude. He looks like like I would imagine a guy named Rupert Pupkin to look like.
Doogle. It was the word I ran around saying endlessly when I learned to speak. I don't do nicknames...I do more terms of endearment. My children have names. You should use them. I may call them something different affectionately (Tate, Bug, Belle), but I would never use those names to refer to them in conversation with another person. Nicknames are annoying. My name is Jamie. People calling me Jay, Jams, etc. is okay...but only if I'm friends with them. Otherwise, use my name.
In high school I played hockey, and helped out with the boosters. One of the kids on a team a year or two younger than me was named Ian Goodenogh (not sure on exact spelling) In casual conversation it always sounded like "he ain't good enough" Poor bastard. Mine was and still is just my last name, or a shortened version of it.
My brother used to work with a project manager, an Indian woman named Manmit. This was pretty funny, but since Toronto has a huge South Asian/Indian population, this isn't considered as a big a deal as some of you who grew up in mostly white areas might think. You're pretty much bound to encounter a few Indians with names that sound hilariously lewd to English ears around here, especially if you live in certain areas, so you kinda get used to it. I mean, fuck, I knew a guy in high school named Sukdeep and I know a girl in university named Arshdeep, so it's not like there wasn't a precedent for names that sound like crude sex acts before. Anyways, about a year ago my brother and Manmit were sent off to a business trip to South Carolina. When she'd introduce herself, everyone would respond with either a "Pardon me?" or a "Come again?". It got to the point that one guy pulled my brother aside during lunch and asked him if it really was true that he worked with a girl called Man-Meat.
My first name is Lucy. Two syllables, so obviously people will get lazy and shorten it to one: Luce. Until people start throwing it around a lot and you realize you're a girl answering to "Loose." Not so awesome, especially when you spend your formative years as the very definition of a prude. I don't mind so much when very old friends use it, but will get sort of squirmy if new people try it.
The true pronunciation of my last name is "Cook," however the way it's spelled makes it easy to misread as "Cock," among other things. Thus, I my nickname on sports teams in high school was always Cock. I was a 3-season captain my senior year, so that year my nickname was usually Captain Cock. It didn't help that almost every single announcer at wrestling tournaments read it as Cock as well, so I'd hear "Cock, (High School), you're in the hole on mat three. Cock to mat three" a few times every weekend in the winter and everyone there did too. Otherwise the best (if that's the way to put it) nickname I've had was Moses, which I got from the foreman of the street department crew when I worked for the city after my freshman year of college. One fine rainy day I was putting on some hip waders (was about to go clean storm drains) and he asked me how I liked sheep. He rationalized that, since sheep apparently back up when they are in warm water, I must have put on the waders so I could fill them up with warm water, stick a sheep's hind legs in them, and enjoy some quality sheep loving since it'd just keep backing up with its legs in the waders. Moses = shepherd = sheep fucker = me. This is the same crew that had a guy nicknamed Turtlefucker and another Ball Juice.
I seem to pick up nicknames rather easily and have countless ones through the years and by different people I've met along the way. Amoeba- First, and one I liked enough to use as my long term AIM chat name, though I was young and misspelled it with an E. My neighbor gave it to me on a bus ride home saying that I was as big as an amoeba. It wasn't a slight so I ran with it. Horshack- Manger and crew at the first restaurant I worked at gave it to me as my hair and face were pretty damn close to the character on Welcome Back Kotter. Breeze- College freshman nick name as I was laid back as fuck even to my SoCal friend who gave it to me. Hollywood- Given to me by the workers my slumlord landlord had hired to replace are bathroom. I answered the door the first day they arrived in my boxers and a pair of sunglasses, the name stuck while we lived at that house. Nacho- A tailgating nickname I picked up after the Orange Bowl a few years ago when I wouldn't shut the fuck up about the taco foam hat I got from a Taco Bell give away. There are a few others I can't remember now. In general my group of friends gave out nicknames to everyone, the Seinfeld cast had nothing on us. As prolific as we were it was all shit you just had to be there to understand.
Records of crystals, kept here for reference
+++
Entry one
An optimized crystal structure of LaPm7Sm3, computed with PBE.

abc: 7.2455 7.2455 8.7806
angles: 90.00 90.00 120.00
With the nearest neighbours (Å) after each atom.
Fractional coordinates of all 11 atoms:
La 0.0000 0.0000 0.0000  9 Pm 3.57-3.62, 3 Sm 3.65
Pm 0.0012 0.5006 0.0092  7 Pm 3.57-3.64, 2 Sm 3.58, 2 La 3.62
Pm 0.3325 0.1663 0.6697  2 Sm 3.57, 1 La 3.57, 8 Pm 3.61-3.64
Pm 0.3333 0.6667 0.6793  9 Pm 3.57-3.62, 3 Sm 3.63
Pm 0.4994 0.5006 0.0092  7 Pm 3.57-3.64, 2 Sm 3.58, 2 La 3.62
Pm 0.4994 0.9988 0.0092  7 Pm 3.57-3.64, 2 Sm 3.58, 2 La 3.62
Pm 0.8337 0.1663 0.6697  2 Sm 3.57, 1 La 3.57, 8 Pm 3.61-3.64
Pm 0.8337 0.6675 0.6697  2 Sm 3.57, 1 La 3.57, 8 Pm 3.61-3.64
Sm 0.1670 0.3340 0.3408  5 Pm 3.57-3.63, 4 Sm 3.62-3.63, 1 La 3.65
Sm 0.1670 0.8330 0.3408  5 Pm 3.57-3.63, 4 Sm 3.62-3.63, 1 La 3.65
Sm 0.6660 0.8330 0.3408  5 Pm 3.57-3.63, 4 Sm 3.62-3.63, 1 La 3.65

## Properties
Calculated volume: 36.29 Å³ per atom
Mass density: 6.68 g cm⁻³
Spin magnetization: 0.00 μB/atom


Entry two
An optimized crystal structure of LaPm7Sm3, computed with PBE.

abc: 7.8377 7.8377 6.5082
angles: 94.20 94.20 81.32
With the nearest neighbours (Å) after each atom.
Fractional coordinates of all 11 atoms:
La 0.0000 0.0000 0.0000  4 Pm 3.25-3.51
Pm 0.0000 0.0000 0.5000  2 La 3.25, 2 Sm 3.35, 2 Pm 3.54
Pm 0.0746 0.4237 0.7599  6 Pm 3.34-3.72, 3 Sm 3.57-3.69
Pm 0.2642 0.2642 0.2905  5 Pm 3.34-3.56, 3 Sm 3.47-3.53, 1 La 3.51
Pm 0.4237 0.0746 0.7599  6 Pm 3.34-3.72, 3 Sm 3.57-3.69
Pm 0.5763 0.9254 0.2401  6 Pm 3.34-3.72, 3 Sm 3.57-3.69
Pm 0.7358 0.7358 0.7095  5 Pm 3.34-3.56, 3 Sm 3.47-3.53, 1 La 3.51
Pm 0.9254 0.5763 0.2401  6 Pm 3.34-3.72, 3 Sm 3.57-3.69
Sm 0.3283 0.6717 0.5000  7 Pm 3.35-3.62, 3 Sm 3.51-3.70
Sm 0.5000 0.5000 0.0000  6 Pm 3.53-3.69, 4 Sm 3.70
Sm 0.6717 0.3283 0.5000  7 Pm 3.35-3.62, 3 Sm 3.51-3.70

## Properties
Calculated volume: 35.76 Å³ per atom
Mass density: 6.78 g cm⁻³
Spin magnetization: 0.00 μB/atom


Which structure is most stable? entry one, by 26 meV per atom over the runner-up.


Entry one
An optimized crystal structure of La2Pm4Sm3, computed with PBE.

abc: 8.7462 8.7942 8.9290
angles: 90.00 112.15 90.00
With the nearest neighbours (Å) after each atom.
Fractional coordinates of all 18 atoms:
La 0.1742 0.1504 0.0502  7 Pm 3.51-3.82, 1 La 3.88
La 0.1742 0.3496 0.5502  7 Pm 3.51-3.82, 1 La 3.88
La 0.8258 0.6504 0.4498  7 Pm 3.51-3.82, 1 La 3.88
La 0.8258 0.8496 0.9498  7 Pm 3.51-3.82, 1 La 3.88
Pm 0.0800 0.5337 0.8638  4 Sm 3.26-3.45, 1 Pm 3.28, 1 La 3.59
Pm 0.0800 0.9663 0.3638  4 Sm 3.26-3.45, 1 Pm 3.28, 1 La 3.59
Pm 0.4744 0.1372 0.8525  5 Sm 3.31-3.48, 1 Pm 3.48, 2 La 3.51-3.68
Pm 0.4744 0.3628 0.3525  5 Sm 3.31-3.48, 1 Pm 3.48, 2 La 3.51-3.68
Pm 0.5256 0.6372 0.6475  5 Sm 3.31-3.48, 1 Pm 3.48, 2 La 3.51-3.68
Pm 0.5256 0.8628 0.1475  5 Sm 3.31-3.48, 1 Pm 3.48, 2 La 3.51-3.68
Pm 0.9200 0.0337 0.6362  4 Sm 3.26-3.45, 1 Pm 3.28, 1 La 3.59
Pm 0.9200 0.4663 0.1362  4 Sm 3.26-3.45, 1 Pm 3.28, 1 La 3.59
+++
My last name sounds like mo' money. I've gotten a lot of "Hey, Mo' Money Mo' Problems!" I guess I can't complain, except that I have no money so it doesn't fit. Other than that, I get the nicknames you'd expect with a name like Roxanne: Roxy, Rox, Fucking Whore, etc.
I have about a dozen nicknames that have evolved over the years. I earned "Chirpy" during a day-drinking binge at the beach with two of my really good friends. Others call me by my last name or some variation of it. If I really think about it, there are at least seven variations that I answer to at this point. I dig that. But the best (worst?) is my family nickname. My sisters tortured me regularly, so I've actually answered to everything from Tonka Toys to Stinky to Stink to Dadonka (yes, like the Souix name for buffalo) to loads more embarrassing ones. The one that stuck? Teenie. In fact, it's officially Little Miss Teenie Bopper. Yeah. I'm 36 and my 16 year old niece will call me AUNT Little Miss Teenie Bopper. That's what I call respect. The name stems from a local tv show that aired every Sunday when I was growing up. It was the only show we were allowed to watch before we went to church and we lived for it. It featured Al Albert, who showcased all the talent from Philly and the surrounding areas. Think America's Got Talent without the flash, budget, and talent. Well, every Sunday they had the teenie boppers--little boy and girl starlets dressed to the nines-- to sit around and tell dumb jokes and sing terrible songs. All Shirley Temple wannabes. Once a year was the Little Miss Teenie Bopper pageant and my sisters got the idea that I should be entered. Thus began my training. I had to sing for them, tell jokes, let them fuck up my hair (once it was burned because they kept the curling iron on too long), let them paint me with know, baby sister torture. Great. Luckily my mother had enough sense not to enter me in the contest but that never stopped my sisters. And ever since, I haven't been able to shake the name if my life depended on it. Aunt Teenie, that's me. Kind of explains a lot about me and my particular brand of insanity. Enjoy the pedophilia that was the 70s:
I'm Arthur the Seventh. Seriously. I started going by Ash (which is my initials rearranged) in third grade, but stopped in fifth because Pokemon had just come out and it was really ruining the name. I started using it again on the internet in highschool, and in real life in university, and most people call me Ash now.
The best case of bad child naming I saw in High School was a girl called Rea Inwards. I couldn't wrap my head around it, why a parent would subject there daughter to be synonymous with butt sex? maybe because she was an accident or she was conceived in an anal play mishap? Needless to say she was the butt of many a joke. I've collected a few nicknames over the years though only a couple have had any permanence The Rev / Reverend Rev Dan- When I was 16 I got myself ordained online as a minister because I was bored and I thought that the ID that came with the pack would look legit enough to fool bouncers and bar staff (it didn't). For the next few years at parties and nights out I'd be asked to perform marriages between friends, do confession, bless peoples drinks and generally became known as Rev Dan. Even now, 10 years after this all started a fair few of my friends still call me by my title, though am starting to get a bit tired of it and having to explain the history of the nickname as religion is usually a big mood killer. My boss at the club I worked at a couple of years ago refused to call anybody by their actual name. As my name is Dan Lowe, I was usually called D-Lo, which caught on until after I picked up 2 girls while I was working and slept with them. Unfortunately it was a bit of a dick move, as one of the girls involved in the 3some had just broken up with her boyfriend, who was a friend of mine. Naturally my friend found out and instead of kicking my ass like I expected he ended up giving me the nickname DirtyDanLowe. I actually quite like it.
My name is Brandon and the only nickname I ever had growing up was Brando. Only a couple people still use that. Now a decent amout of people call me B. Yup, my friends are so lazy they only want to use one letter of my name. I love it when the girl uses it though.
My nickname is Punchy. I've been know, after a few beers, to punch the volleyball when I play. I look like an idiot - but it totally works (most of the time).
My last name (Bottini - relatively common Italian last name) is apparently hard to pronounce. Boh-tee-nee. Seriously? In elementary school, I was No-Weenie. Ah, immaturity... In high school, I was Bo-Bo. Some chick said it in sophomore chemistry class, and it stuck. In the last two years, I've been called pretty much everything. Examples include the following: Bottney Bologna Pasta Bow-tie Bohtinneeenee Brainteenee These days, I'm Broteenee or Booty. I guess it beats No-Weenie. Funniest thing I've ever been called was Billantee. Bitch, that's not even close.
I wonder if that kids parents named him after the Robert De Niro Rupert Pupkin. Who was incidentally a total loser, so good call on that one, parents.
The only funny one I can think of is a guy I knew in high school named Michael Hunt. He had no problem being called Mike. It was kind of funny.
Seeing as my name is Torsten, I don't get many nicknames. My last name is equally as difficult to make nicknames for. I've gotten "Torstie" from some girls, and in elementary school a friend of mine called me "Toaster" for a year or so, but other than that it has been Torsten. I guess people just aren't creative. Except my parents...Torsten? Really?
While reviewing applicant resumes at an old internship I had, I saw a "Moonlit Wang." She went to Harvard, so I guess she's doing OK, but still. For a period of time around sixth grade or so, my brother referred to me as "Bobby Hill." Because I was blonde, too potato-shaped for my own good, and had a buzz cut. Also, I complained a lot. I couldn't even argue, because it was objectively a great comparison. Things are different now: I no longer have a buzz cut.
Strangest name of anyone I've ever met would have been Genesis. He was a pretty cool guy though and I only met him in passing. Strangest name I've ever heard of was a girl in New Zealand being called "Number 16 Bus Stop". Not a nickname but still gave me reason to go WTF? My nickname growing up, and to this day I still have no idea where it came from, was Jenna Benna The Banana Blender. Yeah, my family are kinda odd. That was a "family" nickname, alone with Jenny, Jennikings, Little JenJenJenJenni. My friends used to either call me Jenz or Kitten. Allegedly I squirm around in my sleep like a cat does. I also answer to the following from my sisters and close friends: - Bitch Whore - Skank face - Lesbian licking frog lips - Mole, etc. Yep, my family are strange.
I've almost never had nicknames other than my initials, although ever since I blew off a work conference in New Orleans to go to Vegas and came home richer than when I left, a few of my work friends call me Vegas. It is ridiculous and inappropriate but I will confess to some attachment to it, although it gets awkward if they slip and use it in front of the boss that paid for the trip. At my previous job, I affectionately referred to my junior colleague as Minion for so long that my friends actually thought it was her name and used it when talking to her. She has now morphed into Pony, short for Show Pony (I didn't give her the name, but she is eminently ride-able. Ahem.) Speaking of work, there is a gentleman here by the name of Pornpit Poon, and I've mentioned before that I have had the honour of sitting in on conference calls with Mr. Richard Head and Mr. Richard Johnson. A friend of mine has the best nicknames for her friends. Her own nickname is either Stump (she's short), Boats (she motorboats her friends' tits at every opportunity. She refers to herself as straight from the waist down), or Skank (I don't know, I don't use this one personally. She can throw down.). (For those following my life story, this is the girl who got in the spa with me and the then-girlfriend many years ago). Her friends are 'Tits', ' Boobs' (different person), and Hooty McBooberson. The girl herself is awesome, but we hated her friends, despite their assets. They would get blitzed on smirnoff Ice and shriek nonsense at each other, at ear-splitting volume, for hours. They became known as the 'Grrmms', for their habit of using a great many words to say nothing. "Hey, are the grrmms going to be there?" "Yeah, we couldn't ditch them." The girl I went home with but didn't fuck on my 21st birthday was one of them, and is known as Tube-sock Tits. Yeah, go me. In high school a guy was supposedly caught jacking off in the library and was referred to as Wanker forever after. Man, he hated that name. He would fly into rages at the mention of it, but he was also a totally harmless uber-nerd. Oh, and I somehow gave a girl the nickname of Ostrich-sized Piranha. (Note: normal kids are not familiar with the words 'ostracized pariah'). Her friends loved it and it stuck.